Launch/execute generic actions in Windows Phone, like Intents on Android - windows-phone-7

The Android framework allows for generic actions to be completed by any installed application that registers to handle the action. You can qualify the actions with additional data, mime types, etc.
Does Windows Phone have a similar mechanism? Is there a generic way to "launch a browser with this url", "select a file of type .xyz", "share/send this file of type .xyz", etc?

/*
No. 1
The following is a computed XRD peak list of Er8GeP3Se4. It was derived from a crystal structure in Alexandria, relaxed with PBE, using Cu Kα, 1.54184 Å.

Structure:
```
data_Er8GeP3Se4
_cell_length_a 8.099
_cell_length_b 8.099
_cell_length_c 8.099
_cell_angle_alpha 59.40
_cell_angle_beta 59.40
_cell_angle_gamma 59.40
_space_group_name_H-M_alt 'P 1'
_space_group_IT_number 1
loop_
_space_group_symop_operation_xyz
'x,y,z'
loop_
_atom_site_label
_atom_site_fract_x
_atom_site_fract_y
_atom_site_fract_z
Er1 0.242 0.242 0.242
Er2 0.242 0.745 0.745
Er3 0.255 0.255 0.758
Er4 0.255 0.758 0.255
Er5 0.745 0.242 0.745
Er6 0.745 0.745 0.242
Er7 0.758 0.255 0.255
Er8 0.758 0.758 0.758
Ge1 0.500 0.500 0.500
P1 0.000 0.000 0.500
P2 0.000 0.500 0.000
P3 0.500 0.000 0.000
Se1 0.000 0.000 0.000
Se2 0.000 0.500 0.500
Se3 0.500 0.000 0.500
Se4 0.500 0.500 0.000
```

Main lines, by intensity (5 to 70 degrees two-theta):
31.39°, rel. 100
45.19°, rel. 37
44.76°, rel. 35
27.18°, rel. 30
56.05°, rel. 19
65.50°, rel. 11
26.84°, rel. 10
53.35°, rel. 9
55.32°, rel. 6
53.54°, rel. 5

No. 2
The following is a computed XRD peak list of Er4GeP2Se. It was derived from a crystal structure in Alexandria, relaxed with PBE, using Cu Kα, 1.54184 Å.

Structure:
```
data_Er4GeP2Se
_cell_length_a 6.968
_cell_length_b 6.968
_cell_length_c 6.968
_cell_angle_alpha 131.81
_cell_angle_beta 131.81
_cell_angle_gamma 70.53
_space_group_name_H-M_alt 'P 1'
_space_group_IT_number 1
loop_
_space_group_symop_operation_xyz
'x,y,z'
loop_
_atom_site_label
_atom_site_fract_x
_atom_site_fract_y
_atom_site_fract_z
Er1 0.004 0.504 0.500
Er2 0.243 0.243 0.000
Er3 0.496 0.996 0.500
Er4 0.757 0.757 0.000
Ge1 0.750 0.250 0.500
P1 0.000 0.000 0.000
P2 0.250 0.750 0.500
Se1 0.500 0.500 0.000
```

Main lines, by intensity (5 to 70 degrees two-theta):
31.45°, rel. 100
45.07°, rel. 73
27.15°, rel. 49
55.99°, rel. 26
53.41°, rel. 23
65.64°, rel. 12
28.28°, rel. 3
42.80°, rel. 2
17.43°, rel. 2
68.50°, rel. 1

No. 3
The following is a computed XRD peak list of Er2Ge6Pd. It was derived from a crystal structure in Alexandria, relaxed with PBE, using Cu Kα, 1.54184 Å.

Structure:
```
data_Er2Ge6Pd
_cell_length_a 4.082
_cell_length_b 11.141
_cell_length_c 11.141
_cell_angle_alpha 20.79
_cell_angle_beta 90.00
_cell_angle_gamma 90.00
_space_group_name_H-M_alt 'P 1'
_space_group_IT_number 1
loop_
_space_group_symop_operation_xyz
'x,y,z'
loop_
_atom_site_label
_atom_site_fract_x
_atom_site_fract_y
_atom_site_fract_z
Er1 0.000 0.000 0.000
Er2 0.000 0.341 0.341
Ge1 0.000 0.625 0.625
Ge2 0.000 0.740 0.740
Ge3 0.500 0.127 0.127
Ge4 0.500 0.242 0.242
Ge5 0.500 0.448 0.448
Ge6 0.500 0.876 0.876
Pd1 0.500 0.559 0.559
```

Main lines, by intensity (5 to 70 degrees two-theta):
33.60°, rel. 100
32.90°, rel. 24
44.38°, rel. 23
45.10°, rel. 23
43.44°, rel. 18
37.51°, rel. 17
42.79°, rel. 17
65.13°, rel. 15
8.07°, rel. 14
32.69°, rel. 12

No. 4
*/

This capability does not exist to define "Intents" as it does for Android in the current v1 release of the Windows Phone SDK.
There are however a number of built in "Tasks" that behave in much the same way, including launching a Web Browser. Details here.
How to: Use Launchers for Windows Phone
How to: Use Choosers for Windows Phone

### Here the entry breaks off for crystal structures
____________
Record 1
# BaSrIn2Pd
Computed powder X-ray diffraction pattern, Cu Kα (λ = 1.5418 Å). Input: a PBE-relaxed structure.

Main lines, in order of rising 2θ (2θ = 15–90°):
index, Position (°2θ), d_spacing, I/Imax
1 1 2, 28.6, 3.121, 97
1 0 3, 30.1, 2.964, 47
2 0 0, 32.8, 2.733, 100
0 0 4, 33.9, 2.646, 34
2 1 3, 45.1, 2.009, 31
2 2 0, 47.0, 1.932, 36
2 0 4, 47.9, 1.901, 50
3 1 2, 56.0, 1.643, 29
2 2 4, 59.2, 1.561, 26
4 2 4, 88.0, 1.109, 18

Structure:
a b c (Å): 5.465 5.465 10.585
angles (deg): 90.00 90.00 90.00
Space group I4mm (No. 107)
One atom of each set of equivalent atoms:
Ba (0.000, 0.000, 0.000) (multiplicity 2)
Sr (0.000, 0.000, 0.568) (multiplicity 2)
In (0.000, 0.500, 0.281) (multiplicity 4)
Pd (0.000, 0.000, 0.293) (multiplicity 2)

---

Record 2
# Ba2In3SnPt2
Computed powder X-ray diffraction pattern, Cu Kα (λ = 1.5418 Å). Input: a PBE-relaxed structure.

Main lines, in order of rising 2θ (2θ = 15–90°):
index, Position (°2θ), d_spacing, I/Imax
3 1 0, 29.9, 2.987, 30
1 1 2, 30.7, 2.916, 87
3 1 -1, 32.0, 2.799, 100
4 0 1, 32.2, 2.779, 60
3 1 2, 37.6, 2.394, 35
4 0 -2, 37.8, 2.382, 31
0 2 0, 39.5, 2.282, 53
1 1 -3, 39.9, 2.260, 67
3 1 -3, 45.6, 1.990, 29
4 2 -1, 51.8, 1.763, 31

Structure:
a b c (Å): 11.856 4.563 8.002
angles (deg): 90.00 90.09 90.00
Space group Cm (No. 8)
One atom of each set of equivalent atoms:
Ba (0.000, 0.000, 0.000) (multiplicity 2)
Ba (0.110, 0.000, 0.500) (multiplicity 2)
In (0.215, 0.500, 0.193) (multiplicity 2)
In (0.393, 0.000, 0.303) (multiplicity 2)
In (0.397, 0.000, 0.692) (multiplicity 2)
Sn (0.217, 0.500, 0.805) (multiplicity 2)
Pt (0.276, 0.000, 0.994) (multiplicity 2)
Pt (0.332, 0.500, 0.501) (multiplicity 2)

---

Record 3
# Ba2InTcS6
Computed powder X-ray diffraction pattern, Cu Kα (λ = 1.5418 Å). Input: a PBE-relaxed structure.

Main lines, in order of rising 2θ (2θ = 15–90°):
index, Position (°2θ), d_spacing, I/Imax
2 2 0, 25.4, 3.506, 100
2 2 2, 31.2, 2.863, 14
4 0 0, 36.2, 2.479, 53
4 2 2, 44.8, 2.024, 44
4 4 0, 52.2, 1.753, 35
6 2 0, 58.9, 1.568, 20
4 4 4, 65.2, 1.431, 12
6 4 2, 71.1, 1.325, 22
6 6 0, 82.5, 1.169, 11
8 4 0, 88.1, 1.109, 16

Structure:
a b c (Å): 9.917 9.917 9.917
angles (deg): 90.00 90.00 90.00
Space group Fm-3m (No. 225)
One atom of each set of equivalent atoms:
Ba (0.250, 0.250, 0.250) (multiplicity 8)
In (0.000, 0.000, 0.000) (multiplicity 4)
Tc (0.000, 0.000, 0.500) (multiplicity 4)
S (0.000, 0.000, 0.258) (multiplicity 24)

---

Record 4
# Ba2InTcS6
Computed powder X-ray diffraction pattern, Cu Kα (λ = 1.5418 Å). Input: a PBE-relaxed structure.

Main lines, in order of rising 2θ (2θ = 15–90°):
index, Position (°2θ), d_spacing, I/Imax
1 1 2, 25.1, 3.544, 100
2 0 0, 26.3, 3.390, 62
0 0 4, 34.1, 2.631, 34
2 2 0, 37.5, 2.397, 41
2 0 4, 43.5, 2.078, 31
3 1 2, 45.7, 1.985, 56
2 2 4, 51.6, 1.772, 31
2 4 0, 61.1, 1.516, 16
3 1 6, 69.2, 1.358, 17
2 4 4, 71.9, 1.314, 20

Structure:
a b c (Å): 6.780 6.780 10.523
angles (deg): 90.00 90.00 90.00
Space group I4/m (No. 87)
____________
### The entry goes on


What is the Idiom type for Xbox?

I have a UWP app created using Xamarin.Forms and I uploaded it on Microsoft Store, I enabled Microsoft to decide which platforms can I support, Xbox was automatically selected by Microsoft. I cant unfortunately test it since I dont have Xbox or any emulator available. But I am seeing that there are some downloads and Microsoft Developer Console shows the type as "Console"...
Now my question is on Xamarin.Forms doesnt have that idiom as Console, it is defined here as phone, tablet, desktop, tv, Unsupported... how to check for Xbox?
This is not built into Xamarin.Forms, so you will have to use Windows-specific API to recognize if the app is running on Xbox. You can implement a custom Dependency service that will have an interface which you will implement in UWP project. The documentation will tell you how to do it.
Then to check which type of device the app is actually running on you can check the value of:
This property contains a value depending on which type of hardware the app is currently open:

~~~
This entry pairs a crystal structure of ZrIr4Pb with its computed X-ray powder pattern. Radiation: copper Kα. Structure: a cell relaxed with PBE.

Principal peaks in the range 10° ≤ 2θ ≤ 90°, in order of rising 2θ:
two_theta, I/Imax
20.46, 17.1
33.72, 19.7
39.76, 100.0
41.61, 48.6
48.43, 8.5
53.09, 4.3
60.30, 7.5
64.39, 32.8
70.90, 29.2
80.85, 3.3
84.50, 11.9
85.71, 19.2

Cell and atoms:
Unit cell a=5.3166 b=5.3166 c=5.3166 alpha=60.00 beta=60.00 gamma=60.00
Sites, in units of the cell vectors:
Zr  0.0000  0.0000  0.0000
Ir  0.1256  0.6248  0.6248
Ir  0.6248  0.1256  0.6248
Ir  0.6248  0.6248  0.1256
Ir  0.6248  0.6248  0.6248
Pb  0.2500  0.2500  0.2500

----------

Simulated powder diffraction line list
Compound: MgNi4S8
Radiation: Cu Kα (weighted mean of Kα1 and Kα2)
Structure: a structure optimized by DFT (PBE)
Lines closer than 0.1° are merged.

Crystal structure
a b c (Å): 6.882 6.882 6.894
angles (deg): 119.96 119.96 60.21
Sites, in units of the cell vectors:
Mg1 0.000 0.000 0.000
Ni1 0.137 0.621 0.381
Ni2 0.620 0.620 0.381
Ni3 0.621 0.137 0.381
Ni4 0.621 0.621 0.864
S1 0.389 0.389 0.173
S2 0.389 0.389 0.611
S3 0.391 0.829 0.612
S4 0.424 0.857 0.143
S5 0.829 0.391 0.612
S6 0.857 0.424 0.143
S7 0.858 0.858 0.576
S8 0.859 0.859 0.144

Largest 10 diffraction maxima, most intense first, 2θ from 10° to 90°:
| 2θ (°) | I (rel.) |
| --- | --- |
| 15.75 | 100.0 |
| 36.85 | 55.2 |
| 30.41 | 41.5 |
| 53.13 | 40.0 |
| 36.98 | 27.5 |
| 48.49 | 24.2 |
| 53.24 | 20.0 |
| 48.64 | 11.8 |
| 66.43 | 10.8 |
| 55.75 | 8.6 |

=====

Simulated powder diffraction line list
Compound: MgNi4S8
Radiation: Cu Kα (weighted mean of Kα1 and Kα2)
Structure: a structure optimized by DFT (PBE)
Lines closer than 0.1° are merged.

Crystal structure
a b c (Å): 6.845 6.845 6.845
angles (deg): 60.08 60.08 60.08
Sites, in units of the cell vectors:
Mg1 0.000 0.000 0.000
Ni1 0.000 0.500 0.500
Ni2 0.500 0.000 0.500
Ni3 0.500 0.500 0.000
Ni4 0.500 0.500 0.500
S1 0.261 0.261 0.709
S2 0.261 0.709 0.261
S3 0.264 0.264 0.264
S4 0.291 0.739 0.739
S5 0.709 0.261 0.261
S6 0.736 0.736 0.736
S7 0.739 0.291 0.739
S8 0.739 0.739 0.291

Largest 10 diffraction maxima, most intense first, 2θ from 10° to 90°:
| 2θ (°) | I (rel.) |
| --- | --- |
| 37.13 | 100.0 |
| 15.85 | 99.4 |
| 53.52 | 60.2 |
| 30.61 | 27.9 |
| 48.87 | 23.2 |
| 56.18 | 17.8 |
| 66.90 | 14.1 |
| 79.10 | 8.0 |
| 69.26 | 7.2 |
| 40.60 | 4.9 |

=====

Simulated powder diffraction line list
Compound: MgTiNiS4
Radiation: Cu Kα (weighted mean of Kα1 and Kα2)
Structure: a structure optimized by DFT (PBE)
Lines closer than 0.1° are merged.

Crystal structure
a b c (Å): 7.197 7.197 7.252
angles (deg): 120.23 120.23 59.08
Sites, in units of the cell vectors:
Mg1 0.122 0.122 0.372
Mg2 0.878 0.878 0.628
Ti1 0.000 0.500 0.000
Ti2 0.500 0.000 0.000
Ni1 0.500 0.500 0.000
Ni2 0.500 0.500 0.500
S1 0.262 0.262 0.781
S2 0.265 0.265 0.246
S3 0.273 0.705 0.241
S4 0.295 0.727 0.759
S5 0.705 0.273 0.241
S6 0.727 0.295 0.759
S7 0.735 0.735 0.754
~~~
_Here the article continues_

Xamarin Forms - What is the current device/system type?

I was working by debug my app with a Microsoft Phone 10 when I realized "UWP is a cross windows logic", so now I'm working with my computer.
However, a question comes up in my mind :
How can you know/get information about what type of system your app is running on?
I mean by this question, by example, does my app is currently running on a phone or on a computer?
Thank for your help !
The static Device class includes several properties and methods that allow your code to deal with device differences at run time in a very simple and straightforward manner:
The Device.OS property returns a member of the TargetPlatform
enumeration: iOS, Android, WinPhone, or Other. The WinPhone member
refers to all the Windows and Windows Phone platforms.
The Device.Idiom property returns a member of the TargetIdiom
enumeration: Phone, Tablet, Desktop, or Unsupported.
You can use these two properties in if and else statements, or a switch and case block, to execute code specific to a particular platform.

Windows app store download permissions

I developed an app for Windows phone. Now I want to deploy it on Windows app store and wants to put restriction.I want only specific people will able to install it. How can I do that. Any suggestion will be appropriated.
Well that depends on who these specific people are. You can set age restrictions and region restrictions, and that's about it.
If you mean you want to hand-pick users that can use your app, then provide a login screen where you manually authorize your registered users.
If you mean that only users you choose can download the app, then you can't use the Store; you'll need to use sideloading.
You can control distribution in the Distribution and Visibility section of your app submission on the developer dashboard.
There are three basic options (for Windows 10 - two for Windows Phone 8.x):
Hide this app and prevent acquisition. Customers with a promotional code can still download it on Windows 10 devices
Give codes to the people you want to be able to use the app. This is Windows 10 only.
Hide this app in the Store. Customers with a direct link to the app’s listing can still download it, except on Windows 8 and Windows
Send links to the people you want to use the app. This will work on Windows Phone 8.1 as well as Windows 10. Anybody with a link can download it though, so it won't truly limit to just the people you want to use the app.
Hide this app and make it available only to the people you specify below, who can download this app on Windows Phone 8.x devices. A
promotional code may be used to download this app on Windows 10
This is the classic beta-mode for Windows Phone 8.x. You can specify which Microsoft Accounts have access to the app.

Can we perform navigation between Windows Phone Silverlight 8.1 project page and a Windows Phone 8.1 project page under same solution?

I am working in Windows Phone application in which I have two projects one is Windows Phone Silverlight 8.1 and another is Windows Phone 8.1. I want to navigate from a xaml page in Windows Phone Silverlight 8.1 project to Windows Phone 8.1 Project on a button click and then return back to the page. Is there any possible way to do that?
Regardless of their types, there is no way to directly navigate to a page in another app on Windows Phone. Your best option is to declare a URI association in the target app that the source app can launch with - see here for details.
As for returning to the source app, you should try to leverage the system back key if at all possible. However, if it's not going to be obvious to the user that she should hit the back key, you have two options:
Use Application.Current.Exit() to close the target app, which will
return the user to the last session in the back stack, which should
be the source app (unless the user task-switched in the interim).
Register a URI association in the source app and navigate back to
that from the target. Note that the process of registering and
handling invocation of URI association activation is different in WP
Silverlight apps - see here.
The difference between the two approaches is that if you Exit, the target app will be terminated and removed from the back stack whereas launching a URI association results in a new forward navigation and will leave the target app in the back stack.

Listing installed applications in WP7

In my application I need to share an item through various way (like facebook, twitter, linkedin etc). So I need to list the application installed in my phone show that I can share via any one appplication. So can anybody help me out?
It is not possible to know what other applciations are installed on a phone. Having access to this information would be a potential data privacy issue.
Windows Phone 7 has builtin support for this kind of actions with the launchers / choosers. Within the list of launchers you will find the ShareStatusTask which is opening the builtin 'share your status' control. This control checks your phone device for the profiles/networks to which you have connected. By using the Status property of the Task you can than fill in the message you want to share. In the opened control you can than choose on which networks you want to share your message.
See below code sample on how to use this task:
ShareStatusTask shareStatusTask = new ShareStatusTask();
shareStatusTask.Status = "Share my status on different networks";
NOTE: If you start a launcher from your app, your app will be deactived. Normally after completing the taks your app will be reactivated. For the overview of Launchers / choosers you can have a look at Launchers and Choosers Overview for Windows Phone
